In last month’s column we looked at the teaching of Humanae Vitae from the perspective of the authority of the Church to teach about human love. Specifically, we saw that Jesus at the Last Supper promised that the Holy Spirit would continue to guide the Apostles and their successors in teaching the truth including the truth about human love (Jn 14:26). In brief, the teaching authority of the Church is the continuing authority of Jesus who has positively willed to keep his teaching alive and up-to-date through his body, the Church.
This blog will look at the teaching of Humanae Vitae from the perspective of three natures—human nature, the nature of marriage, and the nature of the marriage act. If the authority of the teaching Church can be called an outside reason for believing the teaching affirmed by Humanae Vitae, the argument from these natures can be called an inner reason.
Human nature. It is the very nature of being human to be honest. We know that the Eighth Commandment, “Thou shalt not bear false witness against your neighbor” (Ex 20:16) resonates within us. The words of Polonius to Laertes ring true: “To thy own self be true; then thou cannot be false to any man.” We know that we are called to be true to ourselves, to God and to our neighbor. We know how much harm has been done by the great dishonesty of pretended love. We may not like a lot of our weaknesses, but we definitely don’t want others to think of us as dishonest.
The nature of marriage. What makes a marriage? Probably the easiest way to see this is to reflect on what our reaction would be if we heard these words from the couple before the minister: “We take each other for better but definitely not for worse, in good times but not in bad, in good health but we want to be free if one of us should ever get really sick, and we do all of this for as long as everything is working out just fine.”
None of us would need a degree in canon law or even a brief marriage course to know that whatever was happening up there, it was not marriage. It would be completely invalid. Legalized prostitution would be the more correct term. What makes a wedding ceremony into a marriage is the unreserved commitment to take each other for better AND for worse—for life. It’s a very big commitment, one that the Lord Jesus raised to the level of a sacrament to give us the graces we need to live it.
The nature of the marriage act. The marriage act really ought to be a marriage act. That is, sexual intercourse is intended by God to be at least implicitly a renewal of the marriage covenant. I’ve been saying that since 1967, but my theological authority and a dollar won’t get you even a cup of coffee. So it was personally encouraging for me to read in Letter to Families from Pope John Paul II (2/2/94) as follows: “In the conjugal act, husband and wife are called to confirm in a responsible way the mutual gift of self which they have made to each other in the marriage covenant” (n.12,12, emphasis in original).
What does that say about contraceptive behaviors? Actions speak louder than words, and the body language of contraception speaks clearly: “We take each other for better but definitely NOT for the imagined worse of possible pregnancy.” The body language of contraception makes it clear that marital contraception is NOT a renewal of the marriage covenant into which the spouses freely entered. In fact, it contradicts the unreserved gift of self that made their wedding promises a true marriage. Marital contraception is therefore invalid as a marriage act. That helps to explain why Paul VI called it “intrinsically dishonest” in Humanae Vitae (n.14).
Pope John Paul II put it this way in his Letter to Families: “The logic of the total gift of self to the other involves a potential openness to procreation: in this way the marriage is called to even greater fulfillment as a family.”
We are called to be honest in all of our dealings with others, and this includes the marriage relationship including sexuality. Marital contraception is dishonest as a marriage act; it runs contrary to the nature of marriage itself and to our basic human call to be true to the human nature that God has given us.
[Crystal structures that have nothing to do with the page]
-- begin --
1.
Crystalline Lu3Ge3Ru2 at its relaxed geometry. Source: the Materials Project, functional PBE.

```
data_Lu3Ge3Ru2
_cell_length_a 4.233
_cell_length_b 10.631
_cell_length_c 13.734
_cell_angle_alpha 90.00
_cell_angle_beta 90.00
_cell_angle_gamma 90.00
_symmetry_space_group_name_H-M 'C m c m'
_symmetry_Int_Tables_number 63
_symmetry_space_group_name_Hall '-C 2c 2'
loop_
_atom_site_label
_atom_site_type_symbol
_atom_site_fract_x
_atom_site_fract_y
_atom_site_fract_z
Lu1 Lu 0.000 0.077 0.114
Lu2 Lu 0.000 0.354 0.250
Ge1 Ge 0.000 0.340 0.750
Ge2 Ge 0.000 0.386 0.041
Ru1 Ru 0.000 0.212 0.584
```

2.
# Tb5Bi3 PBE relaxed
# energy above the most stable polymorph in this dataset = 0.000 eV per atom
data_Tb5Bi3
_cell_length_a 9.2504
_cell_length_b 9.2504
_cell_length_c 6.3832
_cell_angle_alpha 90.00
_cell_angle_beta 90.00
_cell_angle_gamma 120.00
_symmetry_space_group_name_H-M 'P 63/m c m'
_symmetry_Int_Tables_number 193
_symmetry_space_group_name_Hall '-P 6c 2'
loop_
_atom_site_label
_atom_site_type_symbol
_atom_site_fract_x
_atom_site_fract_y
_atom_site_fract_z
Tb1 Tb 0.0000 0.2445 0.2500
Tb2 Tb 0.3333 0.6667 0.0000
Bi1 Bi 0.0000 0.3874 0.7500

3.
Crystalline BaBi2Br2O2 at its relaxed geometry. Source: the Materials Project, functional PBE.

```
data_BaBi2Br2O2
_cell_length_a 4.048
_cell_length_b 4.048
_cell_length_c 31.800
_cell_angle_alpha 90.00
_cell_angle_beta 90.00
_cell_angle_gamma 90.00
_symmetry_space_group_name_H-M 'I 4 m m'
_symmetry_Int_Tables_number 107
_symmetry_space_group_name_Hall 'I 4 -2'
loop_
_atom_site_label
_atom_site_type_symbol
_atom_site_fract_x
_atom_site_fract_y
_atom_site_fract_z
Ba1 Ba 0.000 0.000 0.000
Bi1 Bi 0.000 0.000 0.402
Bi2 Bi 0.000 0.000 0.823
Br1 Br 0.000 0.000 0.272
Br2 Br 0.000 0.000 0.550
O1 O 0.000 0.500 0.362
```

Asked for ΔE_f across the records above, the calculation gives -782 -706 -1274 meV per atom in order.


First-principles (GGA-PBE) data for crystalline DyCuTe2 at its relaxed geometry, as listed in Materials Project.

POSCAR file:
```
DyCuTe2
1.0
4.3395 0.0000 0.0000
0.0000 6.9069 0.0000
0.0000 0.0791 7.4816
Dy Cu Te
2 2 4
direct
0.0000 0.0000 0.0000
0.5000 0.0000 0.5000
0.5000 0.3510 0.1624
0.5000 0.6490 0.8376
0.5000 0.7390 0.1748
0.0000 0.7341 0.6615
0.0000 0.2659 0.3385
0.5000 0.2610 0.8252
```

First-principles (GGA-PBE) data for crystalline DyCuTe2 at its relaxed geometry, as listed in Materials Project.

POSCAR file:
```
DyCuTe2
1.0
-2.1776 -3.7718 -0.0001
-4.3553 0.0000 -0.0001
-0.0002 -0.0001 -6.9306
Dy Cu Te
1 1 2
direct
0.0000 0.0000 0.9922
0.6667 0.6667 0.3684
0.6667 0.6667 0.7456
0.3333 0.3333 0.2638
```

First-principles (GGA-PBE) data for crystalline DyTlCu at its relaxed geometry, as listed in Materials Project.

Properties
**Total moment**: 0.00 μB/cell

POSCAR file:
```
DyTlCu
1.0
-0.0858 4.2481 -0.7657
1.1631 2.7447 3.0840
8.6609 -0.3294 -2.9733
Dy Tl Cu
2 2 2
direct
0.9971 0.0014 0.6810
0.0029 0.9986 0.3190
0.6678 0.6661 0.0948
0.3322 0.3339 0.9052
0.3317 0.3341 0.5046
-- stop --
John F. Kippley
Sex and the Marriage Covenant